## Exercise
It remains to give back everything further down character by character.
## File
'''
Entry A
The following is a SCAN calculation of a crystal of Rb2ICl relaxed with PBEsol, from Alexandria.

abc: 7.9143 7.9143 7.9143
angles: 112.68 112.68 103.24
Fractional positions:
1 Rb 0.0874 0.1250 0.4624
2 Rb 0.3750 0.9126 0.0376
3 Rb 0.6626 0.6250 0.5376
4 Rb 0.8750 0.3374 0.9624
5 I 0.2500 0.7500 0.5000
6 I 0.5000 0.5000 0.0000
7 Cl 0.0000 0.0000 0.0000
8 Cl 0.7500 0.2500 0.5000

Calculated values
Its density of states at the Fermi level is 0.00 states/eV/f.u.


Entry B
The following is a SCAN calculation of a crystal of Rb2ICl relaxed with PBEsol, from Alexandria.

abc: 5.8850 5.8850 5.8850
angles: 60.00 60.00 60.00
Fractional positions:
1 Rb 0.2500 0.2500 0.2500
2 Rb 0.7500 0.7500 0.7500
3 I 0.0000 0.0000 0.0000
4 Cl 0.5000 0.5000 0.5000

Calculated values
Its density of states at the Fermi level is 0.00 states/eV/f.u.


Which is most stable, and by how much? entry B, by 0.042 eV/atom.


Entry A
The following is a SCAN calculation of a crystal of Re3ICl relaxed with PBEsol, from Alexandria.

abc: 4.4244 4.4244 4.4244
angles: 90.00 90.00 90.00
Fractional positions:
1 Re 0.0000 0.0000 0.5000
2 Re 0.0000 0.5000 0.0000
3 Re 0.5000 0.0000 0.0000
4 I 0.5000 0.5000 0.5000
5 Cl 0.0000 0.0000 0.0000

Calculated values
Its density of states at the Fermi level is 4.04 states/eV/f.u.


Entry B
The following is a SCAN calculation of a crystal of Re3ICl relaxed with PBEsol, from Alexandria.

abc: 4.8583 4.8583 4.8583
angles: 90.00 90.00 90.00
Fractional positions:
1 Re 0.0000 0.0000 0.5000
2 Re 0.0000 0.5000 0.0000
3 Re 0.5000 0.0000 0.0000
4 I 0.0000 0.0000 0.0000
5 Cl 0.5000 0.5000 0.5000

Calculated values
Its density of states at the Fermi level is 6.19 states/eV/f.u.


Which is most stable, and by how much? entry A, by 0.737 eV/atom.


Entry A
The following is a SCAN calculation of a crystal of ScSICl2 relaxed with PBEsol, from Alexandria.

abc: 5.3785 5.3785 5.2389
angles: 90.00 90.00 90.00
Fractional positions:
1 Sc 0.0000 0.0000 0.0000
2 S 0.5000 0.5000 0.0000
3 I 0.5000 0.5000 0.5000
4 Cl 0.0000 0.5000 0.5000
5 Cl 0.5000 0.0000 0.5000

Calculated values
Its density of states at the Fermi level is 3.38 states/eV/f.u.


Entry B
The following is a SCAN calculation of a crystal of ScSICl2 relaxed with PBEsol, from Alexandria.

abc: 4.7580 4.7580 5.4114
angles: 90.00 90.00 90.00
Fractional positions:
1 Sc 0.0000 0.0000 0.0000
2 S 0.0000 0.0000 0.5000
3 I 0.5000 0.5000 0.5000
4 Cl 0.0000 0.5000 0.0000
5 Cl 0.5000 0.0000 0.0000

Calculated values
Its density of states at the Fermi level is 1.67 states/eV/f.u.


Which is most stable, and by how much? entry B, by 1.369 eV/atom.


Entry A
The following is a SCAN calculation of a crystal of TlICl2 relaxed with PBEsol, from Alexandria.

abc: 10.4739 10.4739 10.4739
angles: 19.32 19.32 19.32
Fractional positions:
1 Tl 0.0000 0.0000 0.0000
2 I 0.5000 0.5000 0.5000
3 Cl 0.0823 0.0823 0.0823
4 Cl 0.9177 0.9177 0.9177

Calculated values
Its density of states at the Fermi level is 4.33 states/eV/f.u.


Entry B
The following is a SCAN calculation of a crystal of TlICl2 relaxed with PBEsol, from Alexandria.

abc: 8.3437 8.3437 8.3437
angles: 34.44 34.44 34.44
Fractional positions:
1 Tl 0.0000 0.0000 0.0000
2 I 0.5000 0.5000 0.5000
3 Cl 0.3916 0.3916 0.3916
4 Cl 0.6084 0.6084 0.6084

Calculated values
Its density of states at the Fermi level is 0.00 states/eV/f.u.


Which is most stable, and by how much? entry B, by 0.691 eV/atom.


Entry A
The following is a SCAN calculation of a crystal of InIrCl2 relaxed with PBEsol, from Alexandria.

abc: 3.0397 4.3888 5.2750
angles: 90.00 90.00 90.00
Fractional positions:
1 In 0.0000 0.0000 0.0000
2 Ir 0.5000 0.0000 0.5000
3 Cl 0.0000 0.5000 0.5000
4 Cl 0.5000 0.5000 0.0000

Calculated values
Its density of states at the Fermi level is 1.72 states/eV/f.u.


Entry B
The following is a SCAN calculation of a crystal of InIrCl2 relaxed with PBEsol, from Alexandria.

abc: 3.9405 3.9405 8.8148
angles: 111.83 111.83 47.37
Fractional positions:
'''
## Reply
Entry A
The following is a SCAN calculation of a crystal of Rb2ICl relaxed with PBEsol, from Alexandria.

abc: 7.9143 7.9143 7.9143
angles: 112.68 112.68 103.24
Fractional positions:
1 Rb 0.0874 0.1250 0.4624
2 Rb 0.3750 0.9126 0.0376
3 Rb 0.6626 0.6250 0.5376
4 Rb 0.8750 0.3374 0.9624
5 I 0.2500 0.7500 0.5000
6 I 0.5000 0.5000 0.0000
7 Cl 0.0000 0.0000 0.0000
8 Cl 0.7500 0.2500 0.5000

Calculated values
Its density of states at the Fermi level is 0.00 states/eV/f.u.


Entry B
The following is a SCAN calculation of a crystal of Rb2ICl relaxed with PBEsol, from Alexandria.

abc: 5.8850 5.8850 5.8850
angles: 60.00 60.00 60.00
Fractional positions:
1 Rb 0.2500 0.2500 0.2500
2 Rb 0.7500 0.7500 0.7500
3 I 0.0000 0.0000 0.0000
4 Cl 0.5000 0.5000 0.5000

Calculated values
Its density of states at the Fermi level is 0.00 states/eV/f.u.


Which is most stable, and by how much? entry B, by 0.042 eV/atom.


Entry A
The following is a SCAN calculation of a crystal of Re3ICl relaxed with PBEsol, from Alexandria.

abc: 4.4244 4.4244 4.4244
angles: 90.00 90.00 90.00
Fractional positions:
1 Re 0.0000 0.0000 0.5000
2 Re 0.0000 0.5000 0.0000
3 Re 0.5000 0.0000 0.0000
4 I 0.5000 0.5000 0.5000
5 Cl 0.0000 0.0000 0.0000

Calculated values
Its density of states at the Fermi level is 4.04 states/eV/f.u.


Entry B
The following is a SCAN calculation of a crystal of Re3ICl relaxed with PBEsol, from Alexandria.

abc: 4.8583 4.8583 4.8583
angles: 90.00 90.00 90.00
Fractional positions:
1 Re 0.0000 0.0000 0.5000
2 Re 0.0000 0.5000 0.0000
3 Re 0.5000 0.0000 0.0000
4 I 0.0000 0.0000 0.0000
5 Cl 0.5000 0.5000 0.5000

Calculated values
Its density of states at the Fermi level is 6.19 states/eV/f.u.


Which is most stable, and by how much? entry A, by 0.737 eV/atom.


Entry A
The following is a SCAN calculation of a crystal of ScSICl2 relaxed with PBEsol, from Alexandria.

abc: 5.3785 5.3785 5.2389
angles: 90.00 90.00 90.00
Fractional positions:
1 Sc 0.0000 0.0000 0.0000
2 S 0.5000 0.5000 0.0000
3 I 0.5000 0.5000 0.5000
4 Cl 0.0000 0.5000 0.5000
5 Cl 0.5000 0.0000 0.5000

Calculated values
Its density of states at the Fermi level is 3.38 states/eV/f.u.


Entry B
The following is a SCAN calculation of a crystal of ScSICl2 relaxed with PBEsol, from Alexandria.

abc: 4.7580 4.7580 5.4114
angles: 90.00 90.00 90.00
Fractional positions:
1 Sc 0.0000 0.0000 0.0000
2 S 0.0000 0.0000 0.5000
3 I 0.5000 0.5000 0.5000
4 Cl 0.0000 0.5000 0.0000
5 Cl 0.5000 0.0000 0.0000

Calculated values
Its density of states at the Fermi level is 1.67 states/eV/f.u.


Which is most stable, and by how much? entry B, by 1.369 eV/atom.


Entry A
The following is a SCAN calculation of a crystal of TlICl2 relaxed with PBEsol, from Alexandria.

abc: 10.4739 10.4739 10.4739
angles: 19.32 19.32 19.32
Fractional positions:
1 Tl 0.0000 0.0000 0.0000
2 I 0.5000 0.5000 0.5000
3 Cl 0.0823 0.0823 0.0823
4 Cl 0.9177 0.9177 0.9177

Calculated values
Its density of states at the Fermi level is 4.33 states/eV/f.u.


Entry B
The following is a SCAN calculation of a crystal of TlICl2 relaxed with PBEsol, from Alexandria.

abc: 8.3437 8.3437 8.3437
angles: 34.44 34.44 34.44
Fractional positions:
1 Tl 0.0000 0.0000 0.0000
2 I 0.5000 0.5000 0.5000
3 Cl 0.3916 0.3916 0.3916
4 Cl 0.6084 0.6084 0.6084

Calculated values
Its density of states at the Fermi level is 0.00 states/eV/f.u.


Which is most stable, and by how much? entry B, by 0.691 eV/atom.


Entry A
The following is a SCAN calculation of a crystal of InIrCl2 relaxed with PBEsol, from Alexandria.

abc: 3.0397 4.3888 5.2750
angles: 90.00 90.00 90.00
Fractional positions:
1 In 0.0000 0.0000 0.0000
2 Ir 0.5000 0.0000 0.5000
3 Cl 0.0000 0.5000 0.5000
4 Cl 0.5000 0.5000 0.0000

Calculated values
Its density of states at the Fermi level is 1.72 states/eV/f.u.


Entry B
The following is a SCAN calculation of a crystal of InIrCl2 relaxed with PBEsol, from Alexandria.

abc: 3.9405 3.9405 8.8148
angles: 111.83 111.83 47.37
Fractional positions: